Source:
Below is an isolated molecule of C20H35N3O5S, with properties calculated with ωB97M-V with the def2-TZVPD basis set.

Last column: Löwdin charge in e.
Geometry (Å):
C -3.9120 -3.5965 4.7527  -0.059
C -4.1059 -3.4453 3.2450  -0.564
C -4.9833 -4.5981 2.7516  -0.042
C -4.7726 -2.0910 2.9584  -0.157
C -4.8301 -1.7431 1.4732  -0.183
C -3.4386 -1.7829 0.8483  -0.146
C -2.7886 -3.1540 1.0701  -0.230
C -1.4372 -3.2222 0.3800  -0.463
O -1.2695 -3.8478 -0.6540  0.064
N -0.4274 -2.5272 0.9726  0.087
C 0.8225 -2.3091 0.2772  -0.122
C 0.7423 -1.1461 -0.6912  -0.333
C 2.0253 -0.9501 -1.4832  -0.122
C 1.9219 0.3054 -2.3457  -0.126
C 1.5365 1.5003 -1.4897  -0.422
C 0.2739 1.1620 -0.7114  -0.143
O 0.4505 0.0098 0.0910  -0.091
C 2.6362 2.0812 -0.5683  -0.045
C 2.1697 3.4976 -0.9616  -0.251
N 3.2315 4.4493 -1.2285  0.112
C 3.1655 5.3428 -2.2365  -0.527
O 2.1582 5.5859 -2.8725  0.073
C 4.4507 6.1131 -2.5311  -0.146
S 5.9089 5.1263 -2.7525  0.572
N 5.4656 4.0550 -3.9139  -0.047
O 6.9238 5.9848 -3.2802  -0.292
O 6.1218 4.3706 -1.5460  -0.313
C 1.4414 2.8797 -2.1752  -0.054
C -2.7281 -3.4778 2.5649  -0.111
H -3.2886 -2.7919 5.1498  0.083
H -4.8724 -3.5672 5.2725  0.086
H -3.4295 -4.5474 4.9908  0.086
H -5.1734 -4.5551 1.6795  0.073
H -4.5071 -5.5578 2.9652  0.089
H -5.9499 -4.5821 3.2602  0.088
H -5.7776 -2.0868 3.3909  0.120
H -4.2050 -1.3100 3.4786  0.122
H -5.4823 -2.4454 0.9462  0.111
H -5.2733 -0.7536 1.3424  0.111
H -3.4872 -1.5637 -0.2209  0.124
H -2.8174 -1.0032 1.3059  0.119
H -3.3883 -3.9071 0.5563  0.144
H -0.6671 -1.8704 1.6957  0.129
H 1.6037 -2.1069 1.0127  0.134
H 1.0747 -3.2196 -0.2636  0.131
H -0.0930 -1.3222 -1.3857  0.159
H 2.8586 -0.8508 -0.7789  0.127
H 2.2143 -1.8340 -2.0960  0.126
H 2.8628 0.5038 -2.8660  0.118
H 1.1560 0.1575 -3.1160  0.130
H -0.0044 1.9716 -0.0342  0.137
H -0.5566 1.0061 -1.4163  0.141
H 2.6035 1.8087 0.4864  0.120
H 3.6348 1.8778 -0.9629  0.122
H 1.4615 3.9112 -0.2424  0.150
H 4.1406 4.2665 -0.8275  0.112
H 4.3009 6.6808 -3.4458  0.115
H 4.6920 6.7996 -1.7172  0.121
H 5.9088 4.2372 -4.8038  0.080
H 5.5454 3.0967 -3.6038  0.076
H 2.0621 2.9247 -3.0706  0.122
H 0.4535 3.2696 -2.4154  0.122
H -2.0852 -2.7496 3.0729  0.119
H -2.2681 -4.4592 2.7178  0.134

Computed properties:
* charge: 0
* Kohn-Sham gap: 9.7597 eV
* LUMO: 0.4 eV
* relative energy (zero: lowest compared OMol25 entry of this formula, charge and spin): 7.75 kJ/mol


Below is F14NO4P2RbS2 as an isolated structure in a non-equilibrium geometry, with properties calculated with ωB97M-V with the def2-TZVPD basis set.

Last column: Löwdin charge in e.
Geometry (Å):
Rb 0.2264 1.3171 -1.1350  1.660
P 2.8215 0.5622 0.5308  0.259
F 3.2195 -0.0419 1.9925  -0.174
F 2.5439 -0.9633 -0.1125  -0.194
F 1.2839 0.6445 1.1314  -0.252
F 2.1573 1.1880 -0.8402  -0.545
F 3.0239 2.0889 1.0860  -0.172
F 4.3339 0.3165 0.0417  -0.151
P 0.0292 -1.2058 -2.8003  0.251
F 1.4737 -1.0456 -2.0547  -0.191
F 0.2936 0.3081 -3.3702  -0.320
F 0.7339 -1.5953 -4.2274  -0.180
F -1.4891 -1.1293 -3.4358  -0.178
F -0.1929 -2.7539 -2.3158  -0.145
F -0.6542 -0.5866 -1.4293  -0.444
N -2.8875 0.9943 1.9828  -0.265
S -2.1195 0.3433 3.0805  0.413
O -0.7186 0.7102 3.2269  -0.278
O -2.7019 -0.8720 3.5745  -0.294
F -2.7570 1.4127 4.1422  -0.265
S -2.1759 0.1312 0.6942  0.648
O -2.7477 -1.1777 0.3380  -0.279
O -0.7653 0.3774 0.3129  -0.697
F -2.9308 0.9768 -0.4133  -0.208

Computed properties:
* charge: -2
* Kohn-Sham gap: 8.4770 eV
* LUMO: 4.1 eV
* relative energy (zero: lowest compared OMol25 entry of this formula, charge and spin): 972.44 kJ/mol


Below is C19H19ClMnO7S6 as an isolated structure, with properties calculated with ωB97M-V with the def2-TZVPD basis set.

Last column: Löwdin charge in e.
Geometry (Å):
Mn 1.5082 0.1367 -0.6400  0.694
Cl 4.6901 -1.4083 3.4449  0.527
C 4.5442 -1.2800 1.6581  -0.465
C 3.0996 -1.5578 1.2422  -0.708
O 2.7216 -2.7227 1.1353  -0.026
O 2.3977 -0.5082 1.0480  -0.142
H 5.2109 -2.0254 1.2375  0.071
H 4.8373 -0.2724 1.3819  0.076
O 2.1144 1.9197 -0.4769  -0.478

Brief:
Your job: give back all of the block further up without additions.

Result:
Below is an isolated molecule of C20H35N3O5S, with properties calculated with ωB97M-V with the def2-TZVPD basis set.

Last column: Löwdin charge in e.
Geometry (Å):
C -3.9120 -3.5965 4.7527  -0.059
C -4.1059 -3.4453 3.2450  -0.564
C -4.9833 -4.5981 2.7516  -0.042
C -4.7726 -2.0910 2.9584  -0.157
C -4.8301 -1.7431 1.4732  -0.183
C -3.4386 -1.7829 0.8483  -0.146
C -2.7886 -3.1540 1.0701  -0.230
C -1.4372 -3.2222 0.3800  -0.463
O -1.2695 -3.8478 -0.6540  0.064
N -0.4274 -2.5272 0.9726  0.087
C 0.8225 -2.3091 0.2772  -0.122
C 0.7423 -1.1461 -0.6912  -0.333
C 2.0253 -0.9501 -1.4832  -0.122
C 1.9219 0.3054 -2.3457  -0.126
C 1.5365 1.5003 -1.4897  -0.422
C 0.2739 1.1620 -0.7114  -0.143
O 0.4505 0.0098 0.0910  -0.091
C 2.6362 2.0812 -0.5683  -0.045
C 2.1697 3.4976 -0.9616  -0.251
N 3.2315 4.4493 -1.2285  0.112
C 3.1655 5.3428 -2.2365  -0.527
O 2.1582 5.5859 -2.8725  0.073
C 4.4507 6.1131 -2.5311  -0.146
S 5.9089 5.1263 -2.7525  0.572
N 5.4656 4.0550 -3.9139  -0.047
O 6.9238 5.9848 -3.2802  -0.292
O 6.1218 4.3706 -1.5460  -0.313
C 1.4414 2.8797 -2.1752  -0.054
C -2.7281 -3.4778 2.5649  -0.111
H -3.2886 -2.7919 5.1498  0.083
H -4.8724 -3.5672 5.2725  0.086
H -3.4295 -4.5474 4.9908  0.086
H -5.1734 -4.5551 1.6795  0.073
H -4.5071 -5.5578 2.9652  0.089
H -5.9499 -4.5821 3.2602  0.088
H -5.7776 -2.0868 3.3909  0.120
H -4.2050 -1.3100 3.4786  0.122
H -5.4823 -2.4454 0.9462  0.111
H -5.2733 -0.7536 1.3424  0.111
H -3.4872 -1.5637 -0.2209  0.124
H -2.8174 -1.0032 1.3059  0.119
H -3.3883 -3.9071 0.5563  0.144
H -0.6671 -1.8704 1.6957  0.129
H 1.6037 -2.1069 1.0127  0.134
H 1.0747 -3.2196 -0.2636  0.131
H -0.0930 -1.3222 -1.3857  0.159
H 2.8586 -0.8508 -0.7789  0.127
H 2.2143 -1.8340 -2.0960  0.126
H 2.8628 0.5038 -2.8660  0.118
H 1.1560 0.1575 -3.1160  0.130
H -0.0044 1.9716 -0.0342  0.137
H -0.5566 1.0061 -1.4163  0.141
H 2.6035 1.8087 0.4864  0.120
H 3.6348 1.8778 -0.9629  0.122
H 1.4615 3.9112 -0.2424  0.150
H 4.1406 4.2665 -0.8275  0.112
H 4.3009 6.6808 -3.4458  0.115
H 4.6920 6.7996 -1.7172  0.121
H 5.9088 4.2372 -4.8038  0.080
H 5.5454 3.0967 -3.6038  0.076
H 2.0621 2.9247 -3.0706  0.122
H 0.4535 3.2696 -2.4154  0.122
H -2.0852 -2.7496 3.0729  0.119
H -2.2681 -4.4592 2.7178  0.134

Computed properties:
* charge: 0
* Kohn-Sham gap: 9.7597 eV
* LUMO: 0.4 eV
* relative energy (zero: lowest compared OMol25 entry of this formula, charge and spin): 7.75 kJ/mol


Below is F14NO4P2RbS2 as an isolated structure in a non-equilibrium geometry, with properties calculated with ωB97M-V with the def2-TZVPD basis set.

Last column: Löwdin charge in e.
Geometry (Å):
Rb 0.2264 1.3171 -1.1350  1.660
P 2.8215 0.5622 0.5308  0.259
F 3.2195 -0.0419 1.9925  -0.174
F 2.5439 -0.9633 -0.1125  -0.194
F 1.2839 0.6445 1.1314  -0.252
F 2.1573 1.1880 -0.8402  -0.545
F 3.0239 2.0889 1.0860  -0.172
F 4.3339 0.3165 0.0417  -0.151
P 0.0292 -1.2058 -2.8003  0.251
F 1.4737 -1.0456 -2.0547  -0.191
F 0.2936 0.3081 -3.3702  -0.320
F 0.7339 -1.5953 -4.2274  -0.180
F -1.4891 -1.1293 -3.4358  -0.178
F -0.1929 -2.7539 -2.3158  -0.145
F -0.6542 -0.5866 -1.4293  -0.444
N -2.8875 0.9943 1.9828  -0.265
S -2.1195 0.3433 3.0805  0.413
O -0.7186 0.7102 3.2269  -0.278
O -2.7019 -0.8720 3.5745  -0.294
F -2.7570 1.4127 4.1422  -0.265
S -2.1759 0.1312 0.6942  0.648
O -2.7477 -1.1777 0.3380  -0.279
O -0.7653 0.3774 0.3129  -0.697
F -2.9308 0.9768 -0.4133  -0.208

Computed properties:
* charge: -2
* Kohn-Sham gap: 8.4770 eV
* LUMO: 4.1 eV
* relative energy (zero: lowest compared OMol25 entry of this formula, charge and spin): 972.44 kJ/mol


Below is C19H19ClMnO7S6 as an isolated structure, with properties calculated with ωB97M-V with the def2-TZVPD basis set.

Last column: Löwdin charge in e.
Geometry (Å):
Mn 1.5082 0.1367 -0.6400  0.694
Cl 4.6901 -1.4083 3.4449  0.527
C 4.5442 -1.2800 1.6581  -0.465
C 3.0996 -1.5578 1.2422  -0.708
O 2.7216 -2.7227 1.1353  -0.026
O 2.3977 -0.5082 1.0480  -0.142
H 5.2109 -2.0254 1.2375  0.071
H 4.8373 -0.2724 1.3819  0.076
O 2.1144 1.9197 -0.4769  -0.478